Tuesday, January 22, 2013

Big Blue

The HeartStringsQuiltProject is comprised of quilters who use string-piece methods and create countless charity quilts.  Recently, Cricket told of delivering quilts to the boys at a residential facility in Springfield, MA, and the frustration of not having quite enough quilts for the boys at a second facility.
I admire her generous actions and decided to join in.

Several years ago, I made a top that is made up of rows of traditional blocks with a few wonky ones mixed in.  For some reason, I used only blue fabrics.
Although the top was small, it was a good start.

• Data records, as found in the file:
........
Computed powder X-ray diffraction pattern
Compound: Ac2InGa5
Radiation: CuKα
Structure: the GGA-PBE geometry in Alexandria

Structure:
```
data_Ac2InGa5
_space_group_name_H-M_alt 'I 4 m m'
_space_group_IT_number 107
_space_group_name_Hall 'I 4 -2'
_cell_length_a 6.6904
_cell_length_b 6.6904
_cell_length_c 9.3167
_cell_angle_alpha 90.00
_cell_angle_beta 90.00
_cell_angle_gamma 90.00
loop_
_atom_site_label
_atom_site_fract_x
_atom_site_fract_y
_atom_site_fract_z
Ac1 0.0000 0.5000 0.0000
In1 0.0000 0.0000 0.2819
Ga1 0.0000 0.0000 0.9689
Ga2 0.1953 0.1953 0.7489
```

Top 10 peaks for 2θ from 10° to 90°, by angle:
d 4.731, 18.76°, intensity 20; d 3.345, 26.65°, intensity 31; d 3.319, 26.86°, intensity 100; d 2.849, 31.40°, intensity 17; d 2.717, 32.96°, intensity 88; d 2.365, 38.04°, intensity 49; d 2.329, 38.66°, intensity 27; d 1.926, 47.18°, intensity 27; d 1.660, 55.36°, intensity 29; d 1.494, 62.14°, intensity 18

---

Computed powder X-ray diffraction pattern
Compound: La6Ir2SBr2
Radiation: CuKα
Structure: the GGA-PBE geometry in Alexandria

Structure:
```
data_La6Ir2SBr2
_space_group_name_H-M_alt 'C 1 2/m 1'
_space_group_IT_number 12
_space_group_name_Hall '-C 2y'
_cell_length_a 7.5161
_cell_length_b 12.6223
_cell_length_c 7.7461
_cell_angle_alpha 90.00
_cell_angle_beta 107.69
_cell_angle_gamma 90.00
loop_
_atom_site_label
_atom_site_fract_x
_atom_site_fract_y
_atom_site_fract_z
La1 0.2114 0.0000 0.2108
La2 0.2411 0.3301 0.2098
Ir1 0.0000 0.1702 0.0000
S1 0.0000 0.5000 0.0000
Br1 0.0000 0.3383 0.5000
```

Top 10 peaks for 2θ from 10° to 90°, by angle:
d 7.380, 11.99°, intensity 29; d 3.076, 29.03°, intensity 100; d 2.408, 37.34°, intensity 10; d 2.250, 40.07°, intensity 11; d 2.200, 41.03°, intensity 24; d 2.152, 41.98°, intensity 25; d 2.104, 42.99°, intensity 13; d 1.790, 51.03°, intensity 9; d 1.737, 52.69°, intensity 13; d 1.364, 68.82°, intensity 10

---

Computed powder X-ray diffraction pattern
Compound: LiOs3O12
Radiation: CuKα
Structure: the GGA-PBE geometry in Alexandria

Structure:
```
data_LiOs3O12
_space_group_name_H-M_alt 'R 3 c'
_space_group_IT_number 161
_space_group_name_Hall 'R 3 -2"c'
_cell_length_a 8.8930
_cell_length_b 8.8930
_cell_length_c 28.2943
_cell_angle_alpha 90.00
_cell_angle_beta 90.00
_cell_angle_gamma 120.00
loop_
_atom_site_label
_atom_site_fract_x
_atom_site_fract_y
_atom_site_fract_z
Li1 0.0000 0.0000 0.0000
Os1 0.0047 0.3221 0.4121
O1 0.0068 0.5009 0.5435
O2 0.0568 0.2146 0.0442
O3 0.0812 0.5224 0.4386
O4 0.1710 0.4505 0.1219
```

Top 10 peaks for 2θ from 10° to 90°, by angle:
d 4.716, 18.82°, intensity 35; d 4.447, 19.97°, intensity 22; d 4.022, 22.10°, intensity 100; d 3.235, 27.57°, intensity 19; d 2.567, 34.95°, intensity 40; d 2.255, 39.99°, intensity 23; d 2.164, 41.74°, intensity 13; d 1.737, 52.71°, intensity 22; d 1.655, 55.54°, intensity 13; d 1.482, 62.68°, intensity 15

---

Computed powder X-ray diffraction pattern
Compound: GaSn2Sb2Pd7
Radiation: CuKα
........
• So much for the data records:

I made a number of string pieced blocks for a border, using many of the same fabrics as are in the original panel. Originally, I planned to do two rows of them.  However, when the first batch went up on the design wall, I could see that they would overpower the center.  A pale border was added and one row of blocks was added in a zigzag pattern.  My math skills are no longer what they need to be for this kind of work, so a "fudge block" was added in the center of each side.

So here's Big Blue - ready to be packaged up and shipped out.
I'm really liking it and hope that some teenager in Massachusetts will, too.

Thanks to Cricket for inspiration.


  1. It looks great Judy. How nice of you to help out.

  2. Judy, what a wonderful combination of blocks -- love the many blue fabrics, too!

  3. You are someone really special, Judy! And that is a wonderful quilt. It's a lucky kid that will get that quilt.

**Attached: materials data:**
+++
1.
The following is a computed powder XRD pattern of SbTe. It was derived from the PBE geometry in the Materials Project, using CuKα.
Lines closer than 0.1° are merged.

The 8 most intense peaks (5 to 70 degrees two-theta), low angle first:
two_theta  I (rel.)
28.7  1000
38.0  470
42.9  111
44.0  311
53.4  174
59.5  125
63.1  208
64.5  98

Cell and atoms:
Cell: 4.1191 4.1191 12.6459 Å, 90.00 90.00 120.00°
Space group R-3m (No. 166, hexagonal axes)
One atom of each set of equivalent atoms:
Sb 0.0000 0.0000 0.0000
Te 0.0000 0.0000 0.5000


2.
The following is a computed powder XRD pattern of ThSbTe. It was derived from the PBE geometry in the Materials Project, using CuKα.
Lines closer than 0.1° are merged.

The 8 most intense peaks (5 to 70 degrees two-theta), low angle first:
two_theta  I (rel.)
22.2  423
28.4  350
29.1  247
30.1  615
34.6  1000
35.6  667
40.6  583
55.1  388

Cell and atoms:
Cell: 4.4409 4.4409 9.1983 Å, 90.00 90.00 90.00°
Space group P4/nmm (No. 129, origin choice 2)
One atom of each set of equivalent atoms:
Th 0.2500 0.2500 0.2357
Sb 0.2500 0.7500 0.5000
Te 0.2500 0.2500 0.8705


3.
The following is a computed powder XRD pattern of Th2SbTe. It was derived from the PBE geometry in the Materials Project, using CuKα.
Lines closer than 0.1° are merged.

The 7 most intense peaks (5 to 70 degrees two-theta), low angle first:
two_theta  I (rel.)
23.1  98
32.9  1000
40.6  33
47.2  185
53.2  48
58.7  388
68.9  120

Cell and atoms:
Cell: 7.7057 7.7057 7.7057 Å, 90.00 90.00 90.00°
Space group Fm-3m (No. 225)
One atom of each set of equivalent atoms:
Th 0.2500 0.2500 0.2500
Sb 0.0000 0.0000 0.0000
Te 0.0000 0.0000 0.5000

~~~~~

1.
This entry pairs a crystal structure of Pm6C3F2 with its calculated powder diffractogram. Radiation: Cu Kα (weighted mean of Kα1 and Kα2). Structure: a crystal structure in Alexandria, relaxed with PBE.
Kinematic intensities with the Lorentz-polarization factor, no thermal factor.

Most intense lines, 5° ≤ 2θ ≤ 70°, most intense first:
two_theta, intensity
29.49, 100
34.04, 62
49.26, 34
28.86, 32
33.93, 31
48.44, 29

Atomic structure:
abc: 6.4045 6.4045 6.5524
angles: 99.48 99.48 119.90
Positions (direct):
1 Pm 0.0731 0.4087 0.2245
2 Pm 0.2554 0.2554 0.7769
3 Pm 0.4087 0.0731 0.2245
4 Pm 0.5913 0.9269 0.7755
5 Pm 0.7446 0.7446 0.2231
6 Pm 0.9269 0.5913 0.7755
7 C 0.0000 0.0000 0.0000
8 C 0.3325 0.6675 0.0000
9 C 0.6675 0.3325 0.0000
10 F 0.1677 0.8323 0.5000
11 F 0.8323 0.1677 0.5000


2.
This entry pairs a crystal structure of PaAgPbSe4 with its calculated powder diffractogram. Radiation: Cu Kα (weighted mean of Kα1 and Kα2). Structure: a crystal structure in Alexandria, relaxed with PBE.
Kinematic intensities with the Lorentz-polarization factor, no thermal factor.

Most intense lines, 5° ≤ 2θ ≤ 70°, most intense first:
two_theta, intensity
42.20, 100
24.45, 96
24.29, 61
12.70, 40
38.84, 38
20.73, 37

Atomic structure:
abc: 8.5693 8.5693 8.5693
angles: 120.55 120.11 89.43
Positions (direct):
+++

    I'm glad I inspire you. I've been making and giving quilts, mostly to homeless families, for 18 years (425 quilts) now and it has become somewhat of an obsession. I would like to stop and make a quilt for myself, but somehow, there is always another homeless quilt in the works. You are right that I was disappointed not to have enough for the boys in the second shelter, despite my hard work. Thank you so much for helping me correct that situation. YOU inspire me to continue!

  4. Is this the spawning of a wave of quilts for the boys now after making so many for others? Spread the wealth. Cover the world!

  5. Judy, I am a new member of heartstrings. I've never known a group that is as giving. You all do inspire me to give of my time and what little talent I have left. For I am disabled and can do less and less. Heartstrings has shown me that every little bit can help and be appreciated. The time this quilt must have taken, and the attachment to this quilt you so lovingly and thoughtfuly pieced. Was it difficult to give up? What inspires you? You have my admiration. I am humbled.
